## Request
Could you print only the lines underneath with the word "uncorrected" in them?

## Excerpt
┌──
1.
Below is a relaxed structure of KIrPb2Cl, with properties calculated at the PBE-GGA level.

Properties
Final energy, eV/cell: -20.373
ΔE_f (raw), eV per atom: -0.230
D(E_F), states/eV per atom: 0.58
Mass density, g/cm3: 6.46

POSCAR file:
```
KIrPb2Cl
1.0
5.1628 0.0000 0.0000
0.0000 5.1628 0.0000
0.0000 0.0000 6.5697
K Ir Pb Cl
1 1 2 1
Direct
0.0000 0.0000 0.0000
0.0000 0.0000 0.5000
0.0000 0.5000 0.5000
0.5000 0.0000 0.5000
0.5000 0.5000 0.0000
```

=====

2.
Below is a relaxed structure of Na2NpPbF8, with properties calculated at the PBE-GGA level.

Properties
Final energy, eV/cell: -70.146
ΔE_f (raw), eV per atom: -2.991
D(E_F), states/eV per atom: 0.13
Mass density, g/cm3: 5.75

POSCAR file:
```
Na2NpPbF8
1.0
4.0082 0.0000 0.0000
0.0000 8.1111 0.0000
-0.0067 0.0000 5.7044
Na Np Pb F
2 1 1 8
Direct
0.0000 0.2330 0.0000
0.0000 0.7670 0.0000
0.5000 0.5000 0.5000
0.5000 0.0000 0.5000
0.9996 0.5000 0.2819
0.0004 0.5000 0.7181
0.0005 0.0000 0.7564
0.4995 0.2836 0.2608
0.4995 0.7164 0.2608
0.5005 0.2836 0.7392
0.5005 0.7164 0.7392
0.9995 0.0000 0.2436
```

=====

A plane-wave DFT calculation with GGA-PBE was carried out for Sm4Dy3Ir4 after structural relaxation.

Cell and atoms, written as CIF:
```
data_Sm4Dy3Ir4
_symmetry_space_group_name_H-M 'P 1'
_symmetry_Int_Tables_number 1
_cell_length_a 9.468
_cell_length_b 9.468
_cell_length_c 9.468
_cell_angle_alpha 156.72
_cell_angle_beta 125.14
_cell_angle_gamma 60.38
loop_
_symmetry_equiv_pos_as_xyz
'x,y,z'
loop_
_atom_site_label
_atom_site_fract_x
_atom_site_fract_y
_atom_site_fract_z
_atom_site_occupancy
Sm1 0.023 0.834 0.189 1
Sm2 0.354 0.166 0.189 1
Sm3 0.646 0.834 0.811 1
Sm4 0.977 0.166 0.811 1
Dy1 0.000 0.500 0.500 1
Dy2 0.402 0.402 0.000 1
Dy3 0.598 0.598 0.000 1
Ir1 0.258 0.758 0.500 1
Ir2 0.284 0.000 0.284 1
Ir3 0.716 0.000 0.716 1
Ir4 0.742 0.242 0.500 1
```

Summary:
E_form, meV/atom: -569
Symmetry: Immm



A plane-wave DFT calculation with GGA-PBE was carried out for CaBi2I2 after structural relaxation.

Cell and atoms, written as CIF:
```
data_CaBi2I2
_symmetry_space_group_name_H-M 'P 1'
_symmetry_Int_Tables_number 1
_cell_length_a 7.825
_cell_length_b 7.825
_cell_length_c 7.825
_cell_angle_alpha 138.15
_cell_angle_beta 138.15
_cell_angle_gamma 60.67
loop_
_symmetry_equiv_pos_as_xyz
'x,y,z'
loop_
_atom_site_label
_atom_site_fract_x
_atom_site_fract_y
_atom_site_fract_z
_atom_site_occupancy
Ca1 0.000 0.000 0.000 1
Bi1 0.395 0.395 0.000 1
Bi2 0.605 0.605 0.000 1
I1 0.250 0.750 0.500 1
I2 0.750 0.250 0.500 1
```

Summary:
Excess energy over the best structure of this formula in the dataset, meV per atom: 270
Symmetry: I4/mmm
Energy relative to the elements, uncorrected, eV/atom: -0.097



A plane-wave DFT calculation with GGA-PBE was carried out for Li2CaMn after structural relaxation.

Cell and atoms, written as CIF:
```
data_Li2CaMn
_symmetry_space_group_name_H-M 'P 1'
_symmetry_Int_Tables_number 1
_cell_length_a 3.559
_cell_length_b 3.481
_cell_length_c 7.299
_cell_angle_alpha 90.00
_cell_angle_beta 90.11
_cell_angle_gamma 90.00
loop_
_symmetry_equiv_pos_as_xyz
'x,y,z'
loop_
_atom_site_label
_atom_site_fract_x
_atom_site_fract_y
_atom_site_fract_z
_atom_site_occupancy
Li1 0.000 0.000 0.000 1
Li2 0.499 0.500 0.209 1
Ca1 0.999 0.000 0.537 1
Mn1 0.500 0.500 0.817 1
```

Summary:
E_form, meV/atom: 298
Excess energy over the best structure of this formula in the dataset, meV per atom: 0
Symmetry: Pm



A plane-wave DFT calculation with GGA-PBE was carried out for MnCdCl6 after structural relaxation.

Cell and atoms, written as CIF:
```
data_MnCdCl6
_symmetry_space_group_name_H-M 'P 1'
_symmetry_Int_Tables_number 1
_cell_length_a 7.691
_cell_length_b 7.691
_cell_length_c 7.691
_cell_angle_alpha 112.46
_cell_angle_beta 112.46
_cell_angle_gamma 112.46
loop_
_symmetry_equiv_pos_as_xyz
'x,y,z'
loop_
_atom_site_label
_atom_site_fract_x
_atom_site_fract_y
_atom_site_fract_z
_atom_site_occupancy
Mn1 0.000 0.000 0.000 1
Cd1 0.500 0.500 0.500 1
Cl1 0.123 0.123 0.376 1
└──

## Worked solution
Energy relative to the elements, uncorrected, eV/atom: -0.097